[Contents]
Computed, not measured: a geometry-optimized MgCoF4 structure at the PBE+U level of DFT.

Unit cell a=5.678 b=5.678 c=5.678 alpha=107.89 beta=107.89 gamma=112.69
Positions (direct):
1 F 0.756 0.060 0.304
2 F 0.202 0.006 0.196
3 F 0.810 0.006 0.804
4 F 0.691 0.494 0.198
5 F 0.244 0.941 0.698
6 F 0.756 0.452 0.696
7 F 0.244 0.546 0.302
8 F 0.296 0.494 0.802
9 Co 0.749 0.749 0.000
10 Co 0.499 0.999 0.500
11 Mg 0.002 0.502 0.500
12 Mg 0.252 0.252 0.000

Output
The value obtained for the uncorrected energy is -5.205 eV/atom. The value obtained for the energy above the most stable polymorph in this dataset is 0.00 kJ/mol of atoms.

----------

VASP calculation (PBEsol) on a relaxed Ho5Si10Ir4 crystal.

Properties
E_form (uncorrected) = -958 meV per atom

Cell: 12.495 12.495 4.209 Å, 90.00 90.00 90.00°
Space group P4/mbm (No. 127)
Asymmetric unit:
Ho1 0.000 0.000 0.000 (multiplicity 2)
Ho2 0.115 0.385 0.500 (multiplicity 4)
Ho3 0.175 0.675 0.500 (multiplicity 4)
Si1 0.000 0.157 0.500 (multiplicity 8)
Si2 0.066 0.566 0.000 (multiplicity 4)
Si3 0.164 0.200 0.000 (multiplicity 8)
Ir1 0.020 0.754 0.000 (multiplicity 8)

VASP calculation (PBEsol) on a relaxed K2YRh crystal.

Properties
Energy above the lowest structure with this stoichiometry = 0 meV/atom
Energy relative to the elements = 0.018 eV/atom

Cell: 3.586 3.586 11.109 Å, 90.00 90.00 90.00°
Space group P4mm (No. 99)
Asymmetric unit:
K1 0.000 0.000 0.000 (multiplicity 1)
K2 0.500 0.500 0.371 (multiplicity 1)
Y1 0.500 0.500 0.689 (multiplicity 1)
Rh1 0.000 0.000 0.589 (multiplicity 1)

VASP calculation (PBEsol) on a relaxed KRb2InF6 crystal.

Properties
E_form (uncorrected) = -2751 meV per atom

Cell: 6.336 6.336 9.235 Å, 90.00 90.00 90.00°
Space group I4/m (No. 87)
Asymmetric unit:
K1 0.000 0.000 0.000 (multiplicity 2)
Rb1 0.000 0.500 0.250 (multiplicity 4)
In1 0.000 0.000 0.500 (multiplicity 2)
F1 0.000 0.000 0.274 (multiplicity 4)
F2 0.158 0.711 0.500 (multiplicity 8)

VASP calculation (PBEsol) on a relaxed CdMo2Au crystal.

Properties
Energy relative to the elements = 0.170 eV/atom

Cell: 3.236 4.464 9.214 Å, 90.00 90.00 90.00°
Space group Cmm2 (No. 35)
Asymmetric unit:
Cd1 0.000 0.000 0.000 (multiplicity 2)
Mo1 0.000 0.000 0.513 (multiplicity 2)
Mo2 0.000 0.500 0.737 (multiplicity 2)
Au1 0.000 0.500 0.263 (multiplicity 2)

VASP calculation (PBEsol) on a relaxed ZrAg3Ir crystal.

Properties
Energy relative to the elements = 2.150 eV/atom

Cell: 4.887 4.887 4.887 Å, 90.00 90.00 90.00°
Space group Pm-3m (No. 221)
Asymmetric unit:
Zr1 0.000 0.000 0.000 (multiplicity 1)
Ag1 0.000 0.000 0.500 (multiplicity 3)
Ir1 0.500 0.500 0.500 (multiplicity 1)

VASP calculation (PBEsol) on a relaxed Ga2CoRu crystal.

Properties
Energy relative to the elements = -0.331 eV/atom

Cell: 5.838 5.838 5.838 Å, 90.00 90.00 90.00°
Space group Fm-3m (No. 225)
Asymmetric unit:
Ga1 0.250 0.250 0.250 (multiplicity 8)
Co1 0.000 0.000 0.000 (multiplicity 4)
Ru1 0.000 0.000 0.500 (multiplicity 4)

VASP calculation (PBEsol) on a relaxed GaSe2BrN crystal.

Properties
E_form (uncorrected) = 1241 meV per atom
Energy above the lowest structure with this stoichiometry = 660 meV/atom

Cell: 5.302 5.302 3.671 Å, 90.00 90.00 90.00°
Space group P4/mmm (No. 123)
Asymmetric unit:
Ga1 0.000 0.000 0.000 (multiplicity 1)
Se1 0.000 0.500 0.500 (multiplicity 2)
Br1 0.500 0.500 0.500 (multiplicity 1)
N1 0.500 0.500 0.000 (multiplicity 1)

VASP calculation (PBEsol) on a relaxed MgZn2Fe2 crystal.

Properties
Energy relative to the elements = 0.332 eV/atom

Cell: 3.674 3.674 10.999 Å, 90.00 90.00 90.00°
Space group I4/mmm (No. 139)
Asymmetric unit:
Mg1 0.000 0.000 0.000 (multiplicity 2)
Zn1 0.000 0.500 0.250 (multiplicity 4)
Fe1 0.000 0.000 0.403 (multiplicity 4)

[Wanted]
Type out all of the notes earlier on verbatim.

[Completed]
Computed, not measured: a geometry-optimized MgCoF4 structure at the PBE+U level of DFT.

Unit cell a=5.678 b=5.678 c=5.678 alpha=107.89 beta=107.89 gamma=112.69
Positions (direct):
1 F 0.756 0.060 0.304
2 F 0.202 0.006 0.196
3 F 0.810 0.006 0.804
4 F 0.691 0.494 0.198
5 F 0.244 0.941 0.698
6 F 0.756 0.452 0.696
7 F 0.244 0.546 0.302
8 F 0.296 0.494 0.802
9 Co 0.749 0.749 0.000
10 Co 0.499 0.999 0.500
11 Mg 0.002 0.502 0.500
12 Mg 0.252 0.252 0.000

Output
The value obtained for the uncorrected energy is -5.205 eV/atom. The value obtained for the energy above the most stable polymorph in this dataset is 0.00 kJ/mol of atoms.

----------

VASP calculation (PBEsol) on a relaxed Ho5Si10Ir4 crystal.

Properties
E_form (uncorrected) = -958 meV per atom

Cell: 12.495 12.495 4.209 Å, 90.00 90.00 90.00°
Space group P4/mbm (No. 127)
Asymmetric unit:
Ho1 0.000 0.000 0.000 (multiplicity 2)
Ho2 0.115 0.385 0.500 (multiplicity 4)
Ho3 0.175 0.675 0.500 (multiplicity 4)
Si1 0.000 0.157 0.500 (multiplicity 8)
Si2 0.066 0.566 0.000 (multiplicity 4)
Si3 0.164 0.200 0.000 (multiplicity 8)
Ir1 0.020 0.754 0.000 (multiplicity 8)

VASP calculation (PBEsol) on a relaxed K2YRh crystal.

Properties
Energy above the lowest structure with this stoichiometry = 0 meV/atom
Energy relative to the elements = 0.018 eV/atom

Cell: 3.586 3.586 11.109 Å, 90.00 90.00 90.00°
Space group P4mm (No. 99)
Asymmetric unit:
K1 0.000 0.000 0.000 (multiplicity 1)
K2 0.500 0.500 0.371 (multiplicity 1)
Y1 0.500 0.500 0.689 (multiplicity 1)
Rh1 0.000 0.000 0.589 (multiplicity 1)

VASP calculation (PBEsol) on a relaxed KRb2InF6 crystal.

Properties
E_form (uncorrected) = -2751 meV per atom

Cell: 6.336 6.336 9.235 Å, 90.00 90.00 90.00°
Space group I4/m (No. 87)
Asymmetric unit:
K1 0.000 0.000 0.000 (multiplicity 2)
Rb1 0.000 0.500 0.250 (multiplicity 4)
In1 0.000 0.000 0.500 (multiplicity 2)
F1 0.000 0.000 0.274 (multiplicity 4)
F2 0.158 0.711 0.500 (multiplicity 8)

VASP calculation (PBEsol) on a relaxed CdMo2Au crystal.

Properties
Energy relative to the elements = 0.170 eV/atom

Cell: 3.236 4.464 9.214 Å, 90.00 90.00 90.00°
Space group Cmm2 (No. 35)
Asymmetric unit:
Cd1 0.000 0.000 0.000 (multiplicity 2)
Mo1 0.000 0.000 0.513 (multiplicity 2)
Mo2 0.000 0.500 0.737 (multiplicity 2)
Au1 0.000 0.500 0.263 (multiplicity 2)

VASP calculation (PBEsol) on a relaxed ZrAg3Ir crystal.

Properties
Energy relative to the elements = 2.150 eV/atom

Cell: 4.887 4.887 4.887 Å, 90.00 90.00 90.00°
Space group Pm-3m (No. 221)
Asymmetric unit:
Zr1 0.000 0.000 0.000 (multiplicity 1)
Ag1 0.000 0.000 0.500 (multiplicity 3)
Ir1 0.500 0.500 0.500 (multiplicity 1)

VASP calculation (PBEsol) on a relaxed Ga2CoRu crystal.

Properties
Energy relative to the elements = -0.331 eV/atom

Cell: 5.838 5.838 5.838 Å, 90.00 90.00 90.00°
Space group Fm-3m (No. 225)
Asymmetric unit:
Ga1 0.250 0.250 0.250 (multiplicity 8)
Co1 0.000 0.000 0.000 (multiplicity 4)
Ru1 0.000 0.000 0.500 (multiplicity 4)

VASP calculation (PBEsol) on a relaxed GaSe2BrN crystal.

Properties
E_form (uncorrected) = 1241 meV per atom
Energy above the lowest structure with this stoichiometry = 660 meV/atom

Cell: 5.302 5.302 3.671 Å, 90.00 90.00 90.00°
Space group P4/mmm (No. 123)
Asymmetric unit:
Ga1 0.000 0.000 0.000 (multiplicity 1)
Se1 0.000 0.500 0.500 (multiplicity 2)
Br1 0.500 0.500 0.500 (multiplicity 1)
N1 0.500 0.500 0.000 (multiplicity 1)

VASP calculation (PBEsol) on a relaxed MgZn2Fe2 crystal.

Properties
Energy relative to the elements = 0.332 eV/atom

Cell: 3.674 3.674 10.999 Å, 90.00 90.00 90.00°
Space group I4/mmm (No. 139)
Asymmetric unit:
Mg1 0.000 0.000 0.000 (multiplicity 2)
Zn1 0.000 0.500 0.250 (multiplicity 4)
Fe1 0.000 0.000 0.403 (multiplicity 4)